My sanity has officially been consumed by cherries! I am one obsessed chick, and I really do think I have a few issues. Somehow, I got it in my head that "this is free food = get as much of it as you can." So every morning since last Friday, I have been outside with my big mop bucket and step ladder, picking the ripest specimens of the day. I do have to say that the hour or so that I have spent in the mornings picking away, has been a very nice time to meditate and pray; just me, God, and my cherries.
Pitting those cherries is another story! My wall above the kitchen sink is completely stained with splattered cherry juice! Phew, I am sooo sick of pits. It is totally the pits! I have officially picked, washed, de-stemmed, pitted, and stored four buckets of cherries, which is equal to about 100 cups of cherries! With these I made 27 jars of cherry jam (Canning was a first time experience for me. Thank you so much to Karen James for all her help and advice. P.S. I'm blaming you for any cases of Botulism). I also filled two quart size ZipLock bags with dried cherries, for baking purposes. And I froze 16 bags of pitted cherries for later use. I may pick a few more to give to students, but after this, I am done! And I don't feel guilty!
It is the last week of school here at Word of Life Hungary Bible Institute. My poor husband has been running around, trying to wrap up teaching, grade quizzes and homework, record grades, and hand back papers. Not to mention, he has to deal with all the sorry students who are coming to him in dismay about their grades and questions on graduation. Please pray for Paul if you think about it. He's going to need some major energy in the next few days. Maybe some cherry pie will help!
Saturday will be graduation, so all the students are bustling around about getting packed to go home, tying up loose ends, and taking pictures of friends. It's a sad, but also happy time. Tomorrow night we will go to the Al and Pam Konya's home (director of WOL Hungary) to have a mini good-bye party with the second year students and staff. It should be fun!
Paul and I will officially be starting language school after graduation, June 9th to be exact. I am so ready! I think!

The graduation was held on campus in New London, Connecticut. Mom, Dad, my sister Jane, and her husband all went out to see the big event, plus my aunt, Carol. It was a total bummer that we couldn't be there with them to celebrate this huge accomplishment, but, fortunately, through the wonder of technology, we were able to watch the ceremony live online! Vice President Dick Chaney was the key note speaker, and the director of National Defense was present as well. Pretty cool!
Next to the article, the page also holds calculated molecules.
<<<
No. 1
C24H32MgN6O4 as an isolated structure in a non-equilibrium geometry. Source: the Open Molecules 2025 dataset; level of theory: the ωB97M-V functional and the def2-TZVPD basis.

HOMO energy (spin up / spin down): -9.542 / -9.544 eV
net charge: +1
gap between HOMO and LUMO (spin up / spin down): 2.63 / 2.17 eV
spin multiplicity: 2

Element x y z (Å)
Mg (-1.9591, -2.0047, 0.9587)
C (-0.9068, -0.1137, 0.4053)
O (-1.6599, -0.6246, -0.4388)
O (-0.2678, -1.0743, 0.8064)
O (-1.6350, -0.1138, 1.4038)
C (-0.3704, 2.5544, -1.5453)
C (-0.1936, 3.4077, -2.7597)
O (0.3741, 4.4454, -2.6511)
N (-0.7978, 3.0398, -3.8607)
C (-0.7682, 3.8055, -5.0748)
H (-0.9639, 1.6687, -1.7722)
H (-0.7758, 3.0563, -0.6668)
H (0.5960, 2.2203, -1.1678)
H (-1.2266, 2.1299, -3.9519)
H (0.2380, 3.7241, -5.4860)
H (-0.8073, 4.8931, -5.0140)
H (-1.5038, 3.4489, -5.7959)
N (1.7615, -3.0921, 1.4351)
C (2.8407, -3.4722, 0.6677)
C (3.5613, -4.3866, 1.3502)
C (2.9169, -4.6853, 2.5187)
C (1.7730, -3.9019, 2.5636)
H (1.0511, -2.4576, 1.0992)
H (2.9729, -3.1246, -0.3463)
H (4.4368, -4.9356, 1.0364)
H (3.1804, -5.4212, 3.2640)
H (0.9792, -3.7563, 3.2812)
N (-1.8879, -0.4258, -3.1941)
C (-3.0100, 0.1847, -3.6777)
C (-2.7830, 0.3840, -5.0807)
C (-1.4608, 0.0584, -5.3815)
C (-0.9265, -0.3838, -4.1785)
H (-1.7507, -0.6193, -2.2123)
H (-3.8828, 0.3479, -3.0630)
H (-3.5199, 0.7571, -5.7765)
H (-0.9574, 0.0926, -6.3364)
H (0.0736, -0.6822, -3.9007)
N (-2.2581, 1.8939, 3.1363)
C (-2.9738, 2.9819, 2.7993)
C (-3.2800, 3.6629, 3.9448)
C (-2.6812, 3.0224, 5.0358)
C (-1.9613, 1.9313, 4.5078)
H (-1.8802, 1.1982, 2.5092)
H (-3.2163, 3.1402, 1.7588)
H (-3.7974, 4.6108, 3.9562)
H (-2.8164, 3.4252, 6.0288)
H (-1.3151, 1.1992, 4.9691)
N (0.4606, -0.7521, 3.7667)
C (1.5277, 0.0688, 4.0624)
C (2.0390, -0.3088, 5.3214)
C (1.1928, -1.3430, 5.8017)
C (0.2717, -1.6298, 4.8210)
H (-0.0803, -0.7428, 2.9137)
H (1.8426, 0.8281, 3.3619)
H (2.8403, 0.1905, 5.8458)
H (1.2826, -1.8276, 6.7626)
H (-0.5062, -2.3784, 4.7890)
N (1.3840, -1.2681, -1.5968)
C (2.4702, -0.3464, -1.8204)
C (3.2624, -0.9121, -2.7586)
C (2.6696, -2.0909, -3.2818)
C (1.6022, -2.3478, -2.4415)
H (0.6232, -1.2395, -0.9331)
H (2.4586, 0.4872, -1.1338)
H (4.1939, -0.4762, -3.0882)
H (3.0015, -2.7494, -4.0708)
H (0.9031, -3.1709, -2.4248)

Charges per atom according to natural (NBO) partitioning, unit e: 1.8363 1.0275 -0.9906 -0.9465 -0.9238 -0.7119 0.6538 -0.5851 -0.5974 -0.4347 0.1745 0.2589 0.2359 0.3743 0.2069 0.2459 0.2001 -0.5391 -0.0694 -0.2791 -0.2936 -0.0765 0.4236 0.2144 0.2273 0.2311 0.2021 -0.5455 0.1753 -0.2000 -0.2597 0.1829 0.4814 0.2542 0.2627 0.2774 0.2730 -0.5281 -0.0677 -0.3080 -0.2856 -0.0850 0.4333 0.1967 0.2208 0.2285 0.2209 -0.5378 -0.0607 -0.2945 -0.2779 -0.1046 0.4228 0.2130 0.2330 0.2290 0.1922 -0.5788 -0.0848 -0.2738 -0.3164 -0.0856 0.4233 0.2246 0.2384 0.2407 0.2053



No. 2
One molecule with the formula C24H32N2O3S2. Source: the Open Molecules 2025 dataset; level of theory: the ωB97M-V functional and the def2-TZVPD basis.
>>>
From what I hear, the whole weekend was pretty amazing. There were a bunch of events leading up to the graduation, such as a ball/dance, dinner cruise, and various award ceremonies. Jeff won the "Coaches Award" for basketball (I think he's their favorite). He had an awesome year, beating the school record for rebounds and most points scored. Way to go bro!